Set down only the last part of the contents further below, starting with the line that has "0.3094", please.

Computed, not measured: CoIrRu2 after structural relaxation at the PBE-GGA level of DFT.

DOS(E_F) (states/eV/cell): 5.8
E (eV/atom): -8.55
SG: I-4m2
Energy of formation from the pure elements (eV/atom): 0.08

a = 4.6133 Å, b = 4.6133 Å, c = 4.6133 Å
α = 131.99°, β = 131.99°, γ = 70.24°
With the nearest neighbours (Å) after each atom.
Atoms (fractional coordinates):
Co1 0.5000 0.5000 0.0000  8 Ru 2.65-2.66, 4 Ir 2.66
Ir1 0.7500 0.2500 0.5000  8 Ru 2.65-2.66, 4 Co 2.66
Ru1 0.0000 0.0000 0.0000  4 Co 2.65, 4 Ru 2.66, 4 Ir 2.66
Ru2 0.2500 0.7500 0.5000  4 Ir 2.65, 4 Ru 2.66, 4 Co 2.66

=====

LiPaAlRu (GGA-PBE, optimized geometry); total energy = -6.38 eV/atom; DFT formation energy = -1.10 eV per formula unit; space-group type = No. 216
1.0
4.6220 0.0000 0.0000
2.3110 4.0028 0.0000
2.3110 1.3343 3.7739
Li Pa Ru Al
1 1 1 1
Direct
0.0000 0.0000 0.0000
0.2500 0.2500 0.2500
0.5000 0.5000 0.5000
0.7500 0.7500 0.7500

PrSc4Tl5 (GGA-PBE, optimized geometry); total energy = -4.48 eV/atom; DFT formation energy = -2.86 eV per formula unit; space-group type = No. 123
1.0
-2.2449 -2.2238 1.8140
-0.2892 -2.1160 -2.9520
14.5909 -10.0307 5.7605
Tl Sc Pr
5 4 1
Direct
0.5000 0.5000 0.8818
0.5000 0.5000 0.5000
0.5000 0.5000 0.1182
0.5000 0.5000 0.6906
0.5000 0.5000 0.3094
0.0000 0.0000 0.4047
0.0000 0.0000 0.5953
0.0000 0.0000 0.2136
0.0000 0.0000 0.7864
0.0000 0.0000 0.0000

GaGe3Se4 (GGA-PBE, optimized geometry); total energy = -4.05 eV/atom; formation energy from raw total energies = -0.197 eV per atom; space-group type = No. 31
1.0
5.8600 0.0000 0.0000
0.0000 8.6828 0.0000
0.0000 0.0000 8.0223
Se Ge Ga
8 6 2
Direct
0.6132 0.0516 0.5000
0.5908 0.2396 0.0000
0.0940 0.3472 0.7266
0.1132 0.9484 0.0000
0.0940 0.3472 0.2734
0.5940 0.6528 0.7734
0.5940 0.6528 0.2266
0.0908 0.7604 0.5000
0.0401 0.0676 0.5000
0.0332 0.6456 0.1826
0.0332 0.6456 0.8174
0.5332 0.3544 0.3174
0.5332 0.3544 0.6826
0.5401 0.9324 0.0000
0.5168 0.7751 0.5000
0.0168 0.2249 0.0000

Nd3Cu4Ni2 (GGA-PBE, optimized geometry); total energy = -4.94 eV/atom; DFT formation energy = -2.23 eV per formula unit; space-group type = No. 12
1.0
-2.5161 0.5991 3.2674
5.1348 -1.8647 1.6387
0.7173 8.2047 -0.9520
Ni Nd Cu
2 3 4
Direct
0.6087 0.2174 0.2746
0.3913 0.7826 0.7254
0.6723 0.3446 0.6601
0.3277 0.6554 0.3399
0.0000 0.0000 0.0000
0.2790 0.5581 0.9416
0.0492 0.0983 0.3833
0.9508 0.9017 0.6167
0.7210 0.4419 0.0584

SrTc4Pb (GGA-PBE, optimized geometry); total energy = -7.28 eV/atom; DFT formation energy = 3.15 eV per formula unit; space-group type = No. 216
1.0
0.7626 -2.8206 4.5767
-4.2402 -2.2391 2.5476
-0.6276 -5.3935 0.0016
Tc Sr Pb
4 1 1
Direct
0.3766 0.3766 0.3766
0.8703 0.3766 0.3766
0.3766 0.8703 0.3766
0.3766 0.3766 0.8703
0.0000 0.0000 0.0000
0.7500 0.7500 0.7500

SrTi2Tl (GGA-PBE, optimized geometry); energy relative to the lowest polymorph listed for this composition = 12 meV per atom; total energy = -4.38 eV/atom; DFT formation energy = 2.34 eV per formula unit; space-group type = No. 225
1.0
0.6215 -2.2228 4.4882
2.1776 2.5268 3.7874
-2.7583 1.4874 3.9561
Tl Sr Ti
1 1 2
Direct
0.5000 0.5000 0.5000
0.0000 0.0000 0.0000
0.2500 0.2500 0.2500
0.7500 0.7500 0.7500

La2PrSnN4 (GGA-PBE, optimized geometry); total energy = -7.26 eV/atom; formation energy from raw total energies = -0.767 eV per atom; space-group type = No. 63
1.0
-3.2286 -1.2268 1.4345
4.3941 -4.4589 1.2013
2.7215 5.6294 10.9398
La N Sn Pr
4 8 2 2
Direct
0.6286 0.2572 0.0382
0.6286 0.2572 0.4618
0.3714 0.7428 0.9618
0.3714 0.7428 0.5382
0.5596 0.1193 0.2500
0.2746 0.5493 0.3707
0.2746 0.5493 0.1293
0.0000 0.0000 0.5000
0.7254 0.4507 0.6293
0.7254 0.4507 0.8707
0.0000 0.0000 0.0000
0.4404 0.8807 0.7500
0.1540 0.3081 0.2500
0.8460 0.6919 0.7500
0.1104 0.2209 0.7500
0.8896 0.7791 0.2500

Sm3AgSb2 (GGA-PBE, optimized geometry); total energy = -4.96 eV/atom; formation energy from raw total energies = -0.755 eV per atom; space-group type = No. 71
1.0
-1.9104 5.1287 3.0321
-8.4816 -2.6255 -0.9031
3.4709 -5.1768 4.4879
Sm Sb Ag

0.5000 0.5000 0.3094
0.0000 0.0000 0.4047
0.0000 0.0000 0.5953
0.0000 0.0000 0.2136
0.0000 0.0000 0.7864
0.0000 0.0000 0.0000

GaGe3Se4 (GGA-PBE, optimized geometry); total energy = -4.05 eV/atom; formation energy from raw total energies = -0.197 eV per atom; space-group type = No. 31
1.0
5.8600 0.0000 0.0000
0.0000 8.6828 0.0000
0.0000 0.0000 8.0223
Se Ge Ga
8 6 2
Direct
0.6132 0.0516 0.5000
0.5908 0.2396 0.0000
0.0940 0.3472 0.7266
0.1132 0.9484 0.0000
0.0940 0.3472 0.2734
0.5940 0.6528 0.7734
0.5940 0.6528 0.2266
0.0908 0.7604 0.5000
0.0401 0.0676 0.5000
0.0332 0.6456 0.1826
0.0332 0.6456 0.8174
0.5332 0.3544 0.3174
0.5332 0.3544 0.6826
0.5401 0.9324 0.0000
0.5168 0.7751 0.5000
0.0168 0.2249 0.0000

Nd3Cu4Ni2 (GGA-PBE, optimized geometry); total energy = -4.94 eV/atom; DFT formation energy = -2.23 eV per formula unit; space-group type = No. 12
1.0
-2.5161 0.5991 3.2674
5.1348 -1.8647 1.6387
0.7173 8.2047 -0.9520
Ni Nd Cu
2 3 4
Direct
0.6087 0.2174 0.2746
0.3913 0.7826 0.7254
0.6723 0.3446 0.6601
0.3277 0.6554 0.3399
0.0000 0.0000 0.0000
0.2790 0.5581 0.9416
0.0492 0.0983 0.3833
0.9508 0.9017 0.6167
0.7210 0.4419 0.0584

SrTc4Pb (GGA-PBE, optimized geometry); total energy = -7.28 eV/atom; DFT formation energy = 3.15 eV per formula unit; space-group type = No. 216
1.0
0.7626 -2.8206 4.5767
-4.2402 -2.2391 2.5476
-0.6276 -5.3935 0.0016
Tc Sr Pb
4 1 1
Direct
0.3766 0.3766 0.3766
0.8703 0.3766 0.3766
0.3766 0.8703 0.3766
0.3766 0.3766 0.8703
0.0000 0.0000 0.0000
0.7500 0.7500 0.7500

SrTi2Tl (GGA-PBE, optimized geometry); energy relative to the lowest polymorph listed for this composition = 12 meV per atom; total energy = -4.38 eV/atom; DFT formation energy = 2.34 eV per formula unit; space-group type = No. 225
1.0
0.6215 -2.2228 4.4882
2.1776 2.5268 3.7874
-2.7583 1.4874 3.9561
Tl Sr Ti
1 1 2
Direct
0.5000 0.5000 0.5000
0.0000 0.0000 0.0000
0.2500 0.2500 0.2500
0.7500 0.7500 0.7500

La2PrSnN4 (GGA-PBE, optimized geometry); total energy = -7.26 eV/atom; formation energy from raw total energies = -0.767 eV per atom; space-group type = No. 63
1.0
-3.2286 -1.2268 1.4345
4.3941 -4.4589 1.2013
2.7215 5.6294 10.9398
La N Sn Pr
4 8 2 2
Direct
0.6286 0.2572 0.0382
0.6286 0.2572 0.4618
0.3714 0.7428 0.9618
0.3714 0.7428 0.5382
0.5596 0.1193 0.2500
0.2746 0.5493 0.3707
0.2746 0.5493 0.1293
0.0000 0.0000 0.5000
0.7254 0.4507 0.6293
0.7254 0.4507 0.8707
0.0000 0.0000 0.0000
0.4404 0.8807 0.7500
0.1540 0.3081 0.2500
0.8460 0.6919 0.7500
0.1104 0.2209 0.7500
0.8896 0.7791 0.2500

Sm3AgSb2 (GGA-PBE, optimized geometry); total energy = -4.96 eV/atom; formation energy from raw total energies = -0.755 eV per atom; space-group type = No. 71
1.0
-1.9104 5.1287 3.0321
-8.4816 -2.6255 -0.9031
3.4709 -5.1768 4.4879
Sm Sb Ag